Entries:
'''
Entry 1:
DFT (ωB97M-V with the def2-TZVPD basis set) results for a cluster of 2 separate species, C3HCl3O in total in a non-equilibrium geometry.

Structure (XYZ):
```
8
Properties=species:S:1:pos:R:3:forces:R:3
C 0.09883 0.79468 -0.17940 0.555 0.464 0.092
C -1.13871 1.15384 0.02652 -2.585 -2.676 -0.751
C -2.68699 -0.60551 -0.19411 3.767 1.009 0.888
O -2.30599 -1.71442 -0.16130 -0.557 0.942 -0.219
Cl 1.40329 1.93439 -0.43614 -0.284 -0.203 0.128
Cl -1.95669 2.60329 -0.02462 0.095 0.396 0.090
Cl -4.19852 0.08612 -0.27540 -0.980 0.310 -0.150
H 0.41293 -0.23143 -0.16363 -0.011 -0.242 -0.078
```
Positions in Å, forces in eV/Å.

As for the multiplicity: 1. The HOMO-LUMO gap (alpha / beta) is 8.6 / 8.6 eV. The energy relative to the best compared isomer or geometry (same formula, charge and spin) comes out at 67.00 kcal per mole. The calculation puts the LUMO energy (alpha / beta) at -0.750 / -0.750 eV. As for the HOMO energy (alpha / beta): -9.4 / -9.4 eV. The value obtained for the molar mass is 159.40 g/mol.

***

Entry 2:
DFT (ωB97M-V with the def2-TZVPD basis set) results for an isolated molecule of C5H8N2.

Structure (XYZ):
```
15
Properties=species:S:1:pos:R:3:forces:R:3
C -0.47718 -2.01128 0.13127 0.000 -0.104 -0.036
C 0.36244 -0.82528 0.62135 0.073 -0.124 0.037
C 1.33328 -0.27427 -0.39722 -0.119 0.127 -0.014
C 0.92641 0.95594 -0.72649 0.028 -0.148 0.041
C -0.29368 1.20040 0.07291 -0.058 -0.080 0.111
N -1.11195 2.28625 -0.11891 0.021 0.117 0.126
N -0.57620 0.25330 0.89612 0.085 0.258 -0.278
H -1.05780 -1.70015 -0.74387 0.129 -0.077 0.087
H 0.11815 -2.89218 -0.12703 0.015 0.138 0.055
H -1.18547 -2.27613 0.92149 0.117 -0.026 -0.134
H 0.90019 -1.11626 1.53520 -0.095 0.082 -0.073
H 2.21087 -0.79235 -0.77236 -0.201 0.032 0.039
H 1.37953 1.65458 -1.42261 -0.094 -0.151 0.066
H -1.82574 2.39556 0.58701 0.082 0.044 -0.085
H -0.70286 3.14188 -0.45685 0.017 -0.087 0.059
```
Positions in Å, forces in eV/Å.

As for the multiplicity: 1. The HOMO-LUMO gap is 9.9 eV. The energy relative to the best compared isomer or geometry (same formula, charge and spin) comes out at 8.19 kcal per mole. The calculation puts the LUMO energy at 1.089 eV. As for the HOMO energy: -8.8 eV. The value obtained for the molar mass is 96.13 g/mol. As for the SMILES: C[C@H]1C=CC(N)=N1.

***

Entry 3:
DFT (ωB97M-V with the def2-TZVPD basis set) results for a cluster of 2 separate species, C25H24F2N3 in total in a non-equilibrium geometry.

Structure (XYZ):
```
54
Properties=species:S:1:pos:R:3:forces:R:3
F -3.42037 4.41844 1.68060 -0.001 -1.506 0.077
C -3.51794 3.04875 1.78460 0.094 0.855 -0.255
C -4.79216 2.48186 1.80577 0.498 -0.378 0.189
C -4.88156 1.09265 1.99305 0.059 0.121 -0.193
C -3.73740 0.31616 2.09744 0.374 -0.127 -0.047
C -2.43551 0.87908 1.94875 -0.982 0.512 -0.120
C -1.29228 0.01789 1.95024 0.754 -0.073 -0.589
C 0.00903 0.38301 1.59216 -0.685 -0.478 0.139
C 0.37137 1.30314 0.61751 -0.203 1.007 0.366
C 1.51594 2.16600 0.72627 1.155 0.196 0.125
C 2.40390 2.03331 1.83276 0.035 0.070 -0.498
C 3.55195 2.80721 1.87329 0.384 -0.197 0.896
F 4.39488 2.66531 2.95202 -0.853 0.115 -1.216
C 3.89403 3.71513 0.87122 -0.536 -0.345 -0.347
C 2.98545 3.90613 -0.18520 0.066 0.012 0.327
C 1.80397 3.17593 -0.23666 -0.327 -0.553 0.015
C -2.34936 2.29695 1.83249 -0.027 -0.293 -0.356
H -5.68408 3.09940 1.70265 0.318 -0.093 0.100
H -5.86455 0.62109 2.02307 0.318 0.141 0.084
H -3.81780 -0.75952 2.26450 -0.047 0.296 -0.112
H -1.44054 -1.01423 2.28537 0.016 0.473 0.380
H 0.82290 -0.13719 2.10845 -0.315 0.018 -0.176
H -0.22757 1.37518 -0.29841 -0.163 0.282 0.497
H 2.20435 1.29244 2.60521 0.249 0.326 -0.080
H 4.85235 4.22503 0.89180 -0.205 0.009 0.141
H 3.21205 4.63363 -0.96954 -0.102 -0.270 0.342
H 1.06785 3.35970 -1.02273 0.376 -0.107 0.168
H -1.37880 2.78189 1.74072 -0.293 0.040 0.247
C -0.86517 1.34307 -3.91900 -0.007 -0.133 0.218
C 0.23214 1.53652 -3.06438 -0.084 -0.359 -0.132
C 0.82764 0.43639 -2.43516 -0.347 0.184 -0.244
C 0.32532 -0.84437 -2.66634 -0.029 -0.016 0.119
'''

Exercise:
Print the lines earlier on up to the one that holds "1.06785 3.35970", that line included.

Reply:
Entry 1:
DFT (ωB97M-V with the def2-TZVPD basis set) results for a cluster of 2 separate species, C3HCl3O in total in a non-equilibrium geometry.

Structure (XYZ):
```
8
Properties=species:S:1:pos:R:3:forces:R:3
C 0.09883 0.79468 -0.17940 0.555 0.464 0.092
C -1.13871 1.15384 0.02652 -2.585 -2.676 -0.751
C -2.68699 -0.60551 -0.19411 3.767 1.009 0.888
O -2.30599 -1.71442 -0.16130 -0.557 0.942 -0.219
Cl 1.40329 1.93439 -0.43614 -0.284 -0.203 0.128
Cl -1.95669 2.60329 -0.02462 0.095 0.396 0.090
Cl -4.19852 0.08612 -0.27540 -0.980 0.310 -0.150
H 0.41293 -0.23143 -0.16363 -0.011 -0.242 -0.078
```
Positions in Å, forces in eV/Å.

As for the multiplicity: 1. The HOMO-LUMO gap (alpha / beta) is 8.6 / 8.6 eV. The energy relative to the best compared isomer or geometry (same formula, charge and spin) comes out at 67.00 kcal per mole. The calculation puts the LUMO energy (alpha / beta) at -0.750 / -0.750 eV. As for the HOMO energy (alpha / beta): -9.4 / -9.4 eV. The value obtained for the molar mass is 159.40 g/mol.

***

Entry 2:
DFT (ωB97M-V with the def2-TZVPD basis set) results for an isolated molecule of C5H8N2.

Structure (XYZ):
```
15
Properties=species:S:1:pos:R:3:forces:R:3
C -0.47718 -2.01128 0.13127 0.000 -0.104 -0.036
C 0.36244 -0.82528 0.62135 0.073 -0.124 0.037
C 1.33328 -0.27427 -0.39722 -0.119 0.127 -0.014
C 0.92641 0.95594 -0.72649 0.028 -0.148 0.041
C -0.29368 1.20040 0.07291 -0.058 -0.080 0.111
N -1.11195 2.28625 -0.11891 0.021 0.117 0.126
N -0.57620 0.25330 0.89612 0.085 0.258 -0.278
H -1.05780 -1.70015 -0.74387 0.129 -0.077 0.087
H 0.11815 -2.89218 -0.12703 0.015 0.138 0.055
H -1.18547 -2.27613 0.92149 0.117 -0.026 -0.134
H 0.90019 -1.11626 1.53520 -0.095 0.082 -0.073
H 2.21087 -0.79235 -0.77236 -0.201 0.032 0.039
H 1.37953 1.65458 -1.42261 -0.094 -0.151 0.066
H -1.82574 2.39556 0.58701 0.082 0.044 -0.085
H -0.70286 3.14188 -0.45685 0.017 -0.087 0.059
```
Positions in Å, forces in eV/Å.

As for the multiplicity: 1. The HOMO-LUMO gap is 9.9 eV. The energy relative to the best compared isomer or geometry (same formula, charge and spin) comes out at 8.19 kcal per mole. The calculation puts the LUMO energy at 1.089 eV. As for the HOMO energy: -8.8 eV. The value obtained for the molar mass is 96.13 g/mol. As for the SMILES: C[C@H]1C=CC(N)=N1.

***

Entry 3:
DFT (ωB97M-V with the def2-TZVPD basis set) results for a cluster of 2 separate species, C25H24F2N3 in total in a non-equilibrium geometry.

Structure (XYZ):
```
54
Properties=species:S:1:pos:R:3:forces:R:3
F -3.42037 4.41844 1.68060 -0.001 -1.506 0.077
C -3.51794 3.04875 1.78460 0.094 0.855 -0.255
C -4.79216 2.48186 1.80577 0.498 -0.378 0.189
C -4.88156 1.09265 1.99305 0.059 0.121 -0.193
C -3.73740 0.31616 2.09744 0.374 -0.127 -0.047
C -2.43551 0.87908 1.94875 -0.982 0.512 -0.120
C -1.29228 0.01789 1.95024 0.754 -0.073 -0.589
C 0.00903 0.38301 1.59216 -0.685 -0.478 0.139
C 0.37137 1.30314 0.61751 -0.203 1.007 0.366
C 1.51594 2.16600 0.72627 1.155 0.196 0.125
C 2.40390 2.03331 1.83276 0.035 0.070 -0.498
C 3.55195 2.80721 1.87329 0.384 -0.197 0.896
F 4.39488 2.66531 2.95202 -0.853 0.115 -1.216
C 3.89403 3.71513 0.87122 -0.536 -0.345 -0.347
C 2.98545 3.90613 -0.18520 0.066 0.012 0.327
C 1.80397 3.17593 -0.23666 -0.327 -0.553 0.015
C -2.34936 2.29695 1.83249 -0.027 -0.293 -0.356
H -5.68408 3.09940 1.70265 0.318 -0.093 0.100
H -5.86455 0.62109 2.02307 0.318 0.141 0.084
H -3.81780 -0.75952 2.26450 -0.047 0.296 -0.112
H -1.44054 -1.01423 2.28537 0.016 0.473 0.380
H 0.82290 -0.13719 2.10845 -0.315 0.018 -0.176
H -0.22757 1.37518 -0.29841 -0.163 0.282 0.497
H 2.20435 1.29244 2.60521 0.249 0.326 -0.080
H 4.85235 4.22503 0.89180 -0.205 0.009 0.141
H 3.21205 4.63363 -0.96954 -0.102 -0.270 0.342
H 1.06785 3.35970 -1.02273 0.376 -0.107 0.168